Metabase Druid

  • When Metabase first connects to your database, it takes a look at the metadata of the columns in your tables and automatically assigns them a type. Metabase also takes a sample of each table to look for URLs, JSON, encoded strings, etc. You can manually edit table and column metadata in Metabase at any time from the Data Model tab in the Admin Panel.
  • ci drivers. Druid: set correct type to complex aggregators in post aggregation Druid: set correct type to complex aggregators in post aggregation. Improve qb startup performance. reliably remove mouse blocker div. Add support for
  1. Metabase Druid Filter
  2. Metabase Druid
  3. Metabase Druid Sql

To run Metabase via a JAR file, you will need to have a Java Runtime Environment installed on your system. We recommend the latest LTS version of JRE from AdoptOpenJDK with HotSpot JVM and x64 architecture, but other Java versions might work too. Go to the Metabase download page and download the latest release.

Online analytical processing (OLAP) systems are commonly used in many Business Intelligence, Analytics and Data Science applications. According to Wikipedia, “OLAP is an approach to answer multi-dimensional analytical queries swiftly in computing”.

Compared to traditional relational database systems, the main difference is that the data in an OLAP system is being stored in a pre-aggregated and multi-dimensional form. The main benefit of storing data in such form, is that it is optimized for ad-hoc complex aggregations. For example, by storing pre-aggregations using different levels of granularity (hourly, daily, weekly, etc.), we can efficiently answer questions like “what were the monthly sales before two years?”, or “what is the average time that the users are spending in a day using a specific feature of our service the past 90 days?”. Furthermore, we may need to dive to a more detailed view at any time and recalculate the aggregations over any other dimension of the data. Consider, for example, that now we would like to recalculate the aforementioned questions and group the results over every country around the world, in order to produce more detailed visualizations/reports/dashboards and help to decision making.

Such answers are not impossible to be gathered from relational databases, but the complexity of schema design and maintenance, along with the requirement to able to answer “efficiently” such complex ad-hoc aggregations may result to a data engineering nightmare (multiple tables, indexes, possibly multiple databases and custom ETL tasks).

In brief, the main characteristics of OLAP systems are outlined below:

  • Keep the timeseries of the data — e.g., able to know the evolution of a metric value.
  • The queries that analysts usually perform are ad-hoc, thus the system should be able to answer any business question without the need of schema engineering. The data should be collected and queried quickly for any dimension.
  • In contrast to relational databases, the data may be stored with a lot of redundancy. This is desired, either for improving the speed of collecting the results (e.g., avoiding joins), or due to the need of having the evolution of the data in a timeseries.
  • To answer business questions, it may needed to scan large amounts of data.

The main concepts behind an OLAP system are the following:

  1. OLAP cubes: You can consider a cube as a multi-dimensional generalization of a spreadsheet. For example, consider that we would like to have the sales by country, by some time periods (e.g., per week, per month, quarterly and annually), as well as by any other possible dimension (e.g., per region, city, service feature, etc.).

  2. The pre-calculation of all possible aggregations in a cube would be the ideal case for the fastest possible answer response time for any query, however it requires significant processing time and storage. Depending on the business requirements, the configuration of the system and the type of the aggregation, we usually set which aggregations are going to be fully pre-calculated during data ingestion — thus, any other aggregation is calculated on-demand during query computation.

There are many commercial and open-source OLAP systems, a brief comparison can be found in Wikipedia. As the title of this article reveals, we are going to focus on Apache Druid, a distributed data store designed for high-performance slice-and-dice analytics (OLAP-style) on large data sets.

Apache Druid

Apache Druid was created by advertising analytics company Metamarkets and so far has been used by many companies, including Airbnb, Netflix, Nielsen, eBay, Paypal and Yahoo. It combines ideas from OLAP databases, time-series databases, and search systems to create a unified system for a broad range of use cases. Initially, Apache Druid became an open-source software in 2012 under the GPL license, thereafter in 2015 changed to Apache 2 license and in 2018 joined the Apache Software Foundation as an incubating project.

What Druid provides to deal with OLAP-like queries:

  • For storage efficiency and fast filtering over dimensions of data, Druid stores data in a column-oriented compressed format (see Column-oriented systems and Column-Oriented Database Systems). Therefore, it can deal with data redundancy and at the same time it uses an efficient format for performing queries over multi-dimensional aggregations and groupings.
    • To answer a query, it only loads the exact columns that are required.
    • Each column is stored optimized for its particular data type.
    • To provide fast filtering and searching across multiple columns, Druid uses state-of-the-art compressed bitmap indexes (for details see CONCISE and Roaring).
  • The schema of any datasource (i.e., a table in Druid) is very flexible and can easily evolve.
  • The data are being partitioned based on time, thus timeseries queries are significantly faster than traditional databases.
  • Druid provides out-of-the-box algorithms for approximate count-distinct, approximate ranking, and computation of approximate histograms and quantiles.
  • It is highly scalable and has been used in production environments with millions of events per second and storage of years of data.
  • Sub-second average response time of queries.
  • Fault-tolerant architecture.
  • Integration with state-of-the-art big data technologies, including Apache Kafka, Apache Flink, Apache Spark and Apache Hive.
  • Provides a native JSON based language, as well as SQL (experimental) over HTTP or JDBC.
  • Supported by high-level business intelligence and analytics data exploration and visualization tools like Metabase and Apache Superset.

How data are being stored

Tables in Druid are named as datasources and they are partitioned by time intervals. Each time interval is named as chunk and is composed of segments. A segment is an immutable data structure which is being periodically persisted. For example, you can set segments to be created once a day, or every hour, etc. As it is shown in Fig. 1, a segment is composed of the following three column types:

  • Timestamp: the timestamp of the data (rolled-up or not).
  • Dimension: a field of the input data that can be used to perform filter and group-by.
  • Metric: a pre-aggregation (e.g., first, last, sum, max, etc.).

Each chunk can be composed of one or more segment files. Depending on the configuration of the data ingestion, the segments can be created either when the number of their records reaches some maximum threshold (e.g., five million of records) or when there are multiple concurrent ingestion tasks and thus each one creates a separate segment file, or the file size of the segment file in a task exceeds some threshold (e.g., more than 512MB). For more in depth details regarding segments you can read the official documentation.

Furthermore, you can specify the granularity of the data inside a segment. Assume, for example, that your need an hour-level granularity in your use case. You can setup druid to automatically aggregate your real-time data by hour. To illustrate how rollup works in Druid, consider for example, the following fragment of input data in JSON:

Each line is a json that represents a single input event. Field timestamp is the timestamp of the event expressed using the ISO-8601 standard, while characters_added and characters_removed are metrics. For the shake of simplicity the given fragment of data includes only two dimensions in the example JSON, that is user_name and city. By setting the rollup to hour-level granularity the above example will be aggregated into hourly records as it is shown in Fig. 1. For instance, the value of _characters_added in segment that corresponds to the interval 2018-01-01T01:00:00Z until 2018-01-01T02:00:00Z, is simply the sum of all its values within that interval (i.e., 1000 + 400 + 400 = 1800). For further details regarding rollup see the official tutorial.

Metabase druid

A brief overview of the architecture

Druid has an architecture that is distributed and scalable. The design of Druid is driven by the requirements of having a highly available system, with flexible configuration and at the same time to be cloud-friendly and easy to operate. A diagram of the architecture is being shown below in Fig. 2.

First of all, Druid platform relies on the following three external dependencies:

  1. Deep Storage: it can be any distributed file system or object storage, like Amazon S3, Azure Blob Storage, Apache HDFS (or any HDFS compatible system), or a network mounted file system. The purpose of the deep storage is to persist all data ingested by Druid, as a backup solution and at the same time to be available to all Druid components and clusters, when it is needed.

  2. Metadata Storage: is backed by a traditional relational database system, e.g., PostgreSQL or MySQL. All metadata are available to any Druid component. There are various types of metadata in Druid, some are related to the persisted segments in deep storage, for example paths of segment files, their timestamp, their version, etc., other may related to external systems like the ingested partition offsets from a Apache Kafka topic and the rest are related to metadata of various internal processes (e.g., in which segments are being created now).

  3. ZooKeeper: is used for internal service discovery, coordination, and leader election.

The architecture of Druid is composed of the following components of processing types:

  • Middle Manager processes handle the ingestion of data into the cluster. For example, they are responsible to ingest real-time streaming data from Apache Kafka or load batches of data from some other source (e.g., files from HDFS).
  • Historical processes handle the storage and querying on “historical” data. Nodes that are running Historical processes fetch segments from deep storage to their local disk and respond to queries about these segments.
  • Broker processes receive queries from external clients. They identify which Historical and Middle Manager nodes are serving those segments and send a rewritten sub-query to each one of these processes. Thereafter, they collect and merge the results and respond to the caller. Internally, Historical processes respond to sub-queries that correspond to segments of data that have been persisted to the deep storage, while Middle Manager respond to sub-queries that correspond to recently ingested data (i.e., in-memory data that hasn’t been published to the deep storage).
  • In order to balance the data over the Historical and Middle Manager processes, Druid has Coordinator processes and Overlord processes, respectively. Coordinator processes, specifically, are responsible for assigning segments to specific nodes that are running Historical processes. Similarly, Overlord processes, are responsible for assigning ingestion tasks to Middle Managers and for coordinating segment publishing.
  • Finally Router processes, provide a unified API gateway in front of Brokers, Overlords, and Coordinators. Their use is optional since you can also simply contact the Brokers, Overlords, and Coordinators directly.

As it has been outlined, Druid is composed of separate components for ingestion, querying and coordination. Each Druid process component can be configured and scaled independently, giving you maximum possible flexibility, as well as a robustness to fault tolerance (since an outage of one component will not immediately affect other components). Furthermore, the separation of deep storage and the metadata store from the rest of the Druid system gives the ability to relaunch a component or an entire cluster from data that is has been persisted in deep and metadata storage.

Data ingestion flow

Data ingestion flow is a two part process. In the first part, Middle Managers are running indexing tasks that create and publish segments to Deep storage. In the second part, the published segments are fetched from Deep storage by Historical processes, in order to be used in query answering.

Indexing: Segments Creation and Publishing

Metabase druid filter

Middle Managers are responsible for the ingestion of external data sources e.g., batch ingestion of files in HDFS or streaming ingestion from Kafka. The diagram in Fig. 3 highlights the components that take part during data ingestion, while the rest ones have been grayed out. During ingestion, the data is indexed, pre-aggregated, split into segments (w.r.t. the number of records, as well as the roll-up interval) and thereafter published into Deep Storage.

Metabase Druid Filter

The data ingestion from a data source may correspond to one or more ingestion tasks. For log and resource isolation, Middle Manager processes create and forward ingestion tasks to Peons — that is, separate JVM instances that handle a single ingestion task at a time.

At the beginning of an indexing task, a new segment is created. The input data of a segment may originate by a real-time stream (e.g., a Kafka topic) or by a batch of files (e.g., CSV files in HDFS). There are two types of ingestion modes:

Metabase Druid
  • Append mode: When the input data source is a stream (e.g., a Kafka topic) or the batch indexing task is set to appending mode (i.e., read files and append an existing Druid datasource) the tasks add new segments to existing set of segments of the same interval of time.
  • Overwrite mode: Old segments are being deactivated and replaced by the new ones having a new version number for the same interval.

One important feature of Druid, is that the currently creating segments from tasks that are real-time are immediately queryable — e.g., the records that are being consumed from Kafka are immediately queryable, despite that they haven’t published yet to Deep storage.

A task is completed either when it has indexed the maximum number of records per segment (e.g., five million records) or reached the desired rollup interval of time (e.g., hourly aggregates). At this point, the segment is published by persisting its data to the Deep storage and its metadata to the Metadata store.

Handoff: Published Segments Fetching for Query Answering

The diagram in Fig. 4 highlights the components that take part during handoff, the rest ones are grayed out.

The Coordinator processes are periodically polling the Metadata store in order to find any newly published segments from data ingestion tasks. Once a newly created segment is being discovered by a Coordinator process, it chooses which Historical process should fetch the segment from Deep storage. When the segment has been successfully loaded, the Historical process is ready to serve it for querying.

Query Answering

These materials data were left in the article by mistake.
-- begin --
# 1
{"formula": "HfZn2", "functional": "GGA-PBE", "state": "optimized geometry", "spacegroup": "No. 227", "e_form_kcal_per_mol_atoms": -5.01, "lattice": [[-3.678, -3.678, 0.000], [-3.678, 0.000, -3.678], [0.000, -3.678, -3.678]], "species": ["Hf", "Hf", "Zn", "Zn", "Zn", "Zn"], "frac_coords": [[0.250, 0.250, 0.250], [0.500, 0.500, 0.500], [0.375, 0.875, 0.875], [0.875, 0.875, 0.375], [0.875, 0.875, 0.875], [0.875, 0.375, 0.875]]}

# 2
{"formula": "As", "functional": "GGA-PBE", "state": "optimized geometry", "spacegroup": "No. 221", "e_form_kcal_per_mol_atoms": 2.59, "e_above_lowest_polymorph_ev_per_atom": 0.112, "lattice": [[2.738, 0.000, 0.000], [0.000, 2.738, 0.000], [0.000, 0.000, 2.738]], "species": ["As"], "frac_coords": [[0.500, 0.500, 0.500]]}

# 3
{"formula": "Mg2P2O7", "functional": "GGA-PBE", "state": "optimized geometry", "spacegroup": "No. 12", "e_form_kcal_per_mol_atoms": -68.71, "e_above_lowest_polymorph_ev_per_atom": 0.006, "energy_mp2020_ev_per_atom": -7.404, "lattice": [[-1.777, -0.543, 4.983], [5.223, -0.927, 0.374], [1.285, 4.057, 1.613]], "species": ["Mg", "Mg", "O", "O", "O", "O", "O", "O", "O", "P", "P"], "frac_coords": [[0.688, 0.312, 0.500], [0.312, 0.688, 0.500], [0.000, 0.000, 0.000], [0.073, 0.377, 0.280], [0.927, 0.623, 0.720], [0.620, 0.620, 0.212], [0.623, 0.927, 0.720], [0.380, 0.380, 0.788], [0.377, 0.073, 0.280], [0.781, 0.781, 0.906], [0.219, 0.219, 0.094]]}

Total energy: -4.38, -4.55, -6.97 (eV per atom)
-- stop --

Clients send queries directly to the Broker (or indirectly via a Router). A query can be expressed using the native JSON based language or the experimental SQL language.The type of the query can be any of Timeseries, TopN or GroupBy. All type of the aforementioned queries contain at least the target interval time, as well as the dimensions and/or the metrics of interest. The target interval of time is the information that Druid uses to decide which segments are required to be processed to answer the query. The diagram in Fig. 5 highlights the components that take part during query answering, the rest ones are grayed out.

Once the query is being requested by a client, one of the initial tasks of a Broker is to identify the which processes serve the desired segments. For example, lets say that a we are interested to find “the top 10 users with the higher average time per hour the last 48 hours, starting from now”. The query requires both data that have been indexed and published to the Deep Storage, as well as segments from the currently ingesting data from Middle Manager processes. At this point, Broker sends the corresponding sub-queries to Historical and Middle Manager nodes, where each one will compute the requested aggregations and filterings and thereafter send back the results. Finally, Broker collects and merges the desired data, and thereafter responds back to the client with the final results.

Metabase Druid


Metabase Druid Sql

OLAP systems are very powerful databases for serving ad-hoc queries with complex aggregations that are commonly used by Business Intelligence, Analytics and Data Science applications. The characteristics and concepts behind their design, differentiate them from traditional relational databases and make them ideal for such applications. This article gently presents the OLAP-like timeseries database Apache Druid, by outlining its architecture and the way that its components interact for data ingestion, indexing and query answering. As it has been illustrated, the architecture is cloud-friendly, easy to operate, highly scalable and flexible to configure. Having seen how data are being organized and how queries are being computed, in an upcoming article we are going to focus on the practical use of Druid with example queries using the open-source library Scruid.